Assignment.
Now quote every line below that contains the word "structure".

Excerpt.
*A*
Formula: C5H11NS
Source: OMol25
Level of theory: the ωB97M-V functional and the def2-TZVPD basis

Summary:
E_HOMO (alpha / beta)   -0.295 / -0.295 hartree
HOMO-LUMO gap (alpha / beta)   8.4 / 8.4 eV
LUMO energy (alpha / beta)   0.399 / 0.398 eV

```
18
C5H11NS the ωB97M-V functional and the def2-TZVPD basis
C -0.9434 -0.6142 0.2787
C 1.9419 -0.6781 1.4108
C 1.7688 0.0146 -1.1672
C -3.1651 0.3940 -0.3285
C 1.7500 0.3568 0.2941
N -1.6378 0.4066 -0.1677
S 1.7053 1.9797 0.7040
H -1.7109 -1.2429 0.7436
H 2.5401 -1.4974 0.8496
H 1.0205 -1.0139 1.6721
H 2.5147 -0.1196 2.1941
H 2.7416 0.2987 -1.7029
H 1.6679 -1.0603 -1.3233
H 1.0356 0.5530 -1.6680
H -3.4329 1.4977 -0.1296
H -3.4107 -0.3982 0.4770
H -3.3093 0.0324 -1.3751
H -1.0763 1.0911 -0.7618
```

Computed Löwdin charges, given in elementary charges: 0.017, -0.138, -0.182, -0.059, -0.857, -0.176, 0.611, 0.009, 0.110, -0.010, 0.073, 0.110, 0.070, 0.020, 0.100, 0.095, 0.082, 0.123

=====

*B*
Formula: C5H11NS
Source: OMol25
Level of theory: the ωB97M-V functional and the def2-TZVPD basis

Summary:
E_HOMO   -0.285 hartree
HOMO-LUMO gap   8.3 eV
LUMO energy   0.522 eV

```
18
C5H11NS the ωB97M-V functional and the def2-TZVPD basis
C 2.8487 -0.1986 -0.3210
C -0.5332 -1.2574 0.8125
C -0.6994 1.2758 0.6874
C -0.3460 -0.0060 -1.4378
C -0.2085 -0.0322 0.0564
N 1.7793 0.3335 0.2346
S 4.4179 0.0804 0.0419
H 2.6549 -0.8191 -1.1833
H -0.4248 -1.0398 1.9871
H -1.4610 -1.6827 0.5718
H 0.2550 -1.9988 0.6632
H -1.6741 1.5628 0.4008
H -0.0404 1.9545 0.1741
H -0.4498 1.2190 1.7074
H 0.2787 -0.7498 -1.8528
H -1.2815 -0.1886 -1.7889
H -0.0776 0.9708 -1.7713
H 1.8722 1.2226 0.5813
```

Computed Löwdin charges, given in elementary charges: -0.863, -0.055, -0.041, -0.048, -0.358, 0.025, 0.534, 0.039, 0.138, 0.069, 0.085, 0.085, 0.072, 0.069, 0.074, 0.059, 0.086, 0.032

=====

Last place for stability: *A*


The following is a DFT calculation (the ωB97M-V functional and the def2-TZVPD basis) of C3H6O3Ru as an isolated structure.

```
13
Properties=species:S:1:pos:R:3:mulliken_spin:R:1
C 0.83 1.00 -0.85 0.01
C 0.79 0.71 0.57 0.38
O -0.08 -0.42 0.67 0.15
C -1.26 -0.13 1.21 0.02
O -1.65 -1.39 1.19 0.37
Ru 0.18 -2.66 1.05 3.68
H 1.84 1.23 -1.20 0.04
H 0.19 1.87 -1.04 0.05
H 0.42 1.61 1.08 0.06
H 0.72 0.33 2.11 0.26
H -1.80 -1.01 -0.82 0.89
O -0.06 -0.09 -2.02 0.12

Response.
The following is a DFT calculation (the ωB97M-V functional and the def2-TZVPD basis) of C3H6O3Ru as an isolated structure.